It can be said that every inch of land in Beijing is precious. The closer to the city center, the higher the land price. Many celebrities own many luxury houses in Beijing, and the most conspicuous one is the Wangfu Century Building, which is close to the Forbidden City. Its owne

Every inch of land in Beijing is precious.. The closer to the city center, the higher the land price. Many celebrities own many luxury houses in Beijing, and the most conspicuous one is the Wangfu Century Building, which is close to the Forbidden City. Its owner is Wang Zhicai. Many people may feel strange when talking about Wang Zhicai, but when it comes to his wife, Qinggege Wang Yan, you will know that Wang Zhicai is more than ten years older than Wang Yan. Many people in society think that Wang Yan married for money. Give him , but what few people know is that Wang Yan was not particularly famous when they got married, and Wang Zhicai's business was not as good as it is now.

Wang Zhicai's mother was the daughter of a prince of the Qing Dynasty and was a descendant of the royal family. If he had been in the Qing Dynasty, his mother would have been considered a qualified . However, such royal relatives ceased to exist with the fall of the Qing Dynasty, but their Life was still better than that of ordinary people, but it began to decline later on. There was not much difference between and ordinary people's lives .

Wang Zhicai’s mother’s innate royal temperament has always been with him . When Wang Zhicai was born, his family lived in extreme poverty, but under his mother’s guidance since childhood, he always wanted to become a successful person and recreate the family’s legacy. Brilliant, Wang Zhicai worked in a state-owned watch factory when he grew up. With his intelligence and smooth handling of people, he quickly gained the respect of the factory boss.

[1]
VASP calculation (PBE) on a relaxed structure of Hf9W4Se.

Computed properties:
space-group type = P6_3/mmc (194)
formation energy from the elements = -0.28 eV/atom

Cell lengths 8.7471, 8.7471, 8.6562 Å; angles 90.00, 90.00, 120.00 degrees
Last column: nearest neighbours and their distance in Å.
Element x y z (fractional)
Hf: 0.1933 0.8067 0.4523  1 Se 2.75, 2 W 2.87-2.96, 2 Hf 3.04
Hf: 0.1933 0.3866 0.4523  1 Se 2.75, 2 W 2.87-2.96, 2 Hf 3.04
Hf: 0.6134 0.8067 0.4523  1 Se 2.75, 2 W 2.87-2.96, 2 Hf 3.04
Hf: 0.8067 0.1933 0.5477  1 Se 2.75, 2 W 2.87-2.96, 2 Hf 3.04
Hf: 0.8067 0.6134 0.5477  1 Se 2.75, 2 W 2.87-2.96, 2 Hf 3.04
Hf: 0.3866 0.1933 0.5477  1 Se 2.75, 2 W 2.87-2.96, 2 Hf 3.04
Hf: 0.8067 0.1933 0.9523  1 Se 2.75, 2 W 2.87-2.96, 2 Hf 3.04
Hf: 0.8067 0.6134 0.9523  1 Se 2.75, 2 W 2.87-2.96, 2 Hf 3.04
Hf: 0.3866 0.1933 0.9523  1 Se 2.75, 2 W 2.87-2.96, 2 Hf 3.04
Hf: 0.1933 0.8067 0.0477  1 Se 2.75, 2 W 2.87-2.96, 2 Hf 3.04
Hf: 0.1933 0.3866 0.0477  1 Se 2.75, 2 W 2.87-2.96, 2 Hf 3.04
Hf: 0.6134 0.8067 0.0477  1 Se 2.75, 2 W 2.87-2.96, 2 Hf 3.04
Hf: 0.5426 0.4574 0.2500  2 W 2.94, 1 Se 3.17, 6 Hf 3.26-3.27
Hf: 0.5426 0.0851 0.2500  2 W 2.94, 1 Se 3.17, 6 Hf 3.26-3.27
Hf: 0.9149 0.4574 0.2500  2 W 2.94, 1 Se 3.17, 6 Hf 3.26-3.27
Hf: 0.4574 0.5426 0.7500  2 W 2.94, 1 Se 3.17, 6 Hf 3.26-3.27
Hf: 0.4574 0.9149 0.7500  2 W 2.94, 1 Se 3.17, 6 Hf 3.26-3.27
Hf: 0.0851 0.5426 0.7500  2 W 2.94, 1 Se 3.17, 6 Hf 3.26-3.27
W: 0.8899 0.1101 0.2500  4 W 2.73-2.89, 4 Hf 2.87-2.94
W: 0.8899 0.7798 0.2500  4 W 2.73-2.89, 4 Hf 2.87-2.94
W: 0.2202 0.1101 0.2500  4 W 2.73-2.89, 4 Hf 2.87-2.94
W: 0.1101 0.8899 0.7500  4 W 2.73-2.89, 4 Hf 2.87-2.94
W: 0.1101 0.2202 0.7500  4 W 2.73-2.89, 4 Hf 2.87-2.94
W: 0.7798 0.8899 0.7500  4 W 2.73-2.89, 4 Hf 2.87-2.94
W: 0.0000 0.0000 0.5000  6 W 2.73, 6 Hf 2.96
W: 0.0000 0.0000 0.0000  6 W 2.73, 6 Hf 2.96
Se: 0.3333 0.6667 0.2500  6 Hf 2.75
Se: 0.6667 0.3333 0.7500  6 Hf 2.75

=====

[2]
VASP calculation (PBE) on a relaxed structure of HfSi.

Computed properties:
space-group type = Pnma (62)
formation energy from the elements = -0.78 eV/atom

Cell lengths 3.7847, 5.2526, 6.9133 Å; angles 90.00, 90.00, 90.00 degrees
Last column: nearest neighbours and their distance in Å.
Element x y z (fractional)
Hf: 0.2500 0.3745 0.6751  7 Si 2.71-2.91
Hf: 0.7500 0.6255 0.3249  7 Si 2.71-2.91
Hf: 0.7500 0.8745 0.8249  7 Si 2.71-2.91
Hf: 0.2500 0.1255 0.1751  7 Si 2.71-2.91
Si: 0.2500 0.8598 0.5439  2 Si 2.47, 5 Hf 2.71-2.72
Si: 0.7500 0.1402 0.4561  2 Si 2.47, 5 Hf 2.71-2.72
Si: 0.7500 0.3598 0.9561  2 Si 2.47, 5 Hf 2.71-2.72
Si: 0.2500 0.6402 0.0439  2 Si 2.47, 5 Hf 2.71-2.72

=====

[3]
VASP calculation (PBE) on a relaxed structure of Tb2Hf3Si4.

Computed properties:
space-group type = P4_12_12 (92)
formation energy from the elements = -0.80 eV/atom

Cell lengths 7.2978, 7.2978, 13.4085 Å; angles 90.00, 90.00, 90.00 degrees
Last column: nearest neighbours and their distance in Å.
Element x y z (fractional)
End of the records of crystals >

Later, he quit his job at the watch factory, and with the first pot of gold he earned, began to do reselling business in Hong Kong. The place where he lived in Hong Kong was very simple. At that time, housing prices in Hong Kong were very expensive, and real estate was In the emerging industry, he met his first wife in Hong Kong. At that time, his first wife Wang Lu had just lost her husband and inherited a large inheritance. The Wang Lu family was also a business family. The poor boy Wang Zhicai obtained his future father-in-law. He appreciated and arranged a marriage between him and his wife.

After getting married, he felt that the real estate industry would definitely develop vigorously in the future, but at that time he did not have so much money to develop real estate. With the support of his wife Wang Lu, he was ready to make a big splash in the real estate industry . He did not go to Shenzhen, but After returning to Beijing, he believed that Beijing would definitely develop very well in the future.

After returning to Beijing, with the help of his mother, he successfully obtained the land and established the Wangfu Century Building. His career was successful, but his marriage was in crisis. Wang Zhicai has been busy with his career in Beijing all year round, while his wife Wang Lu has been Living in Hong Kong and being apart for a long time, their relationship became weaker and weaker. Later, the two divorced, and their son Wang Shuo was raised by Wang Zhicai. Although he divorced his ex-wife, they still had a cooperative relationship . All the time, the two were peaceful. get along.

After the divorce, Wang Zhicai put all his energy into his career., and his career territory expanded day by day. In 1995, Wang Zhicai met Wang Yan, who had just graduated. Wang Yan’s teacher was an old acquaintance of Wang Zhicai. He introduced Wang Yan to When she met Wang Zhicai for the first time, Wang Yan didn't even know what Wang Zhicai did. They both liked each other.

After the first meeting, Wang Zhicai lost information . It turned out that after the first meeting, Wang Zhicai went to Australia on a business trip. He changed his nationality to Australian. Changing his nationality does not mean that he is not patriotic. He just For the better development of the company, except for himself, everyone else in the family is Chinese. Once, Wang Yan fell and fractured during filming and was admitted to the hospital.

Wang Yan was resting peacefully in the hospital. Suddenly one day many gifts were sent to his ward , and then Wang Zhicai walked in. Wang Zhicai had just returned from Australia when he heard that Wang Yan was injured, so he came to the hospital to visit without stopping. Wang Yan, Wang Yan was quickly discharged from the hospital under the careful care of Wang Zhicai.

After being discharged from the hospital, their relationship gradually warmed up . In 1997, the two registered their marriage. Shortly after the marriage, the financial crisis hit, and Wang Zhicai's business was also greatly affected. At this time, Wang Yan has been accompanying Wang Zhicai. around him, Wang Zhicai sold several properties in Australia in order to survive the crisis, and Australian banks also provided him with loans. He finally survived the crisis. Wang Yan has always been by her husband's side. She also told her husband: Even if he goes bankrupt, she will support him through filming. Wang Zhicai was deeply moved when he heard Wang Yan's heartwarming comfort.

Although Wang Zhicai often travels abroad on business, he cares about his wife very much. often goes to visit Wang Yan. Wang Yan became popular in the second part of "Huan Zhu Ge Ge" aired in 1999, starring Qing Gege, but this did not matter at all. It affected the relationship between the couple, but the couple became happier. Later, Wang Yan gave birth to Wang Zhicai’s second son, named Qiuqiu, and Wang Yan was also different from the stepmother in public perception. He and his stepson Wang Shuo The relationship is also very harmonious. Wang Shuo and Big S's ex-husband Wang Xiaofei, Liu Tao 's husband Wang Ke , and Wang Yu, the son of the former Shanghai mayor, are known as the four young men in Beijing.

Wang Yan stayed with Wang Zhicai during his most difficult period. After having a son, she was even willing to stay behind the scenes and quit the big screen. She took care of her husband and children at home and took good care of the family, so that Wang Zhicai had no worries. Wang Zhicai also understands his wife's hard work and is not afraid of rumors. Their life is extremely happy.